[Activity]
Now type out the lines underneath up to the one that holds "1.447 eV", that line included.

[Given]
+++
{"formula": "C6H15NO", "method": "wB97M-V/def2-TZVPD", "max_force_ev_per_a": 2.841, "smiles": "CCC(N)=O.CCC", "homo_energy_ev": -9.829, "orbital_gap_ev": 10.6, "e_above_lowest_kj_mol": 112.6, "species": ["C", "C", "C", "N", "O", "H", "H", "H", "H", "H", "H", "H", "C", "C", "C", "H", "H", "H", "H", "H", "H", "H", "H"], "xyz": [[1.06204, 2.26601, -2.35920], [0.11732, 2.29099, -1.14605], [0.75307, 2.50873, 0.20516], [1.45690, 1.33202, 0.59225], [0.53848, 3.42464, 0.94847], [0.43070, 2.34490, -3.24259], [1.66657, 1.36701, -2.22792], [1.70623, 3.13354, -2.40563], [-0.62491, 3.09867, -1.24344], [-0.52969, 1.42066, -1.04833], [1.94203, 1.16108, 1.46447], [1.51381, 0.70610, -0.19302], [-2.17071, -2.72155, 0.84686], [-0.79831, -2.17743, 0.34720], [0.15848, -1.95348, 1.51079], [-2.87517, -2.62841, 0.03169], [-1.96893, -3.71713, 1.24530], [-2.49127, -2.14242, 1.70766], [-0.47704, -2.76485, -0.51089], [-0.98476, -1.17436, -0.06709], [-0.23969, -2.06773, 2.51374], [1.01517, -2.63992, 1.57764], [0.79967, -1.06707, 1.45295]], "mulliken_charge": [-0.92, -0.46, 0.55, -0.36, -0.59, 0.30, 0.32, 0.28, 0.31, 0.18, 0.20, 0.15, -1.28, 0.14, -0.80, 0.36, 0.32, 0.35, 0.36, -0.07, 0.36, 0.32, -0.03]}

----------

Molecular formula: C5H10NO2
Method: DFT, ωB97M-V/def2-TZVPD

Summary:
- Energy relative to the best compared isomer or geometry (same formula, charge and spin): 10.603 eV
- Total charge: -1

Each line ends with the Mulliken charge.
Geometry (Å):
C -0.3026 0.5738 -0.6144  -0.39
N -0.8057 1.9464 -0.3633  -0.58
C -2.1463 1.9710 -0.2761  0.16
O -3.0346 1.1100 -0.5689  -0.62
C 0.4876 -0.1387 0.4479  -0.37
C 1.2410 -1.3055 -0.2643  -0.34
C 0.8851 -1.6437 -1.6232  -0.82
O 0.2592 0.1166 3.4949  -0.95
H -1.0209 -0.0922 -1.0002  0.45
H 0.4725 0.6215 -1.4382  0.16
H 0.3508 0.3840 4.3408  0.14
H -2.4569 2.9823 0.1532  0.30
H -0.1845 -0.4434 1.2757  0.33
H 1.1388 0.6180 0.9744  0.27
H 1.7264 -0.6574 -0.9114  0.32
H 1.7769 -1.8726 0.5692  0.42
H 0.0906 -2.4101 -1.7671  0.25
H 1.5226 -1.7602 -2.4290  0.26

---

Molecular formula: C3H5N3
Method: DFT, ωB97M-V/def2-TZVPD

Summary:
- Energy relative to the best compared isomer or geometry (same formula, charge and spin): 1.447 eV
- Structure (SMILES): Nc1cc[nH]n1

Each line ends with the Mulliken charge.
Geometry (Å):
N 1.4173 0.6576 1.2578  -0.45
C 0.4152 0.1612 0.4598  0.53
C 0.4946 -0.5893 -0.7451  -0.42
C -0.8354 -0.6494 -1.1219  -0.38
N -1.5907 -0.3090 -0.0638  0.19
N -0.8423 0.4157 0.8113  -0.79
H 2.3669 0.6856 0.9296  0.20
H 1.1259 1.4085 1.8623  0.26
H 1.3287 -1.1103 -1.2106  0.32
H -1.2891 -0.4638 -2.0795  0.29
H -2.5911 -0.2067 -0.0999  0.26

---

Molecular formula: C40H49ClGeN2O2Pt
Method: DFT, ωB97M-V/def2-TZVPD

Summary:
- 2S+1: 3
- Energy relative to the best compared isomer or geometry (same formula, charge and spin): 0.000 eV
- <S²>: 2.023

Each line ends with the Mulliken charge.
Geometry (Å):
Pt 0.2790 0.9610 -0.4322  1.42
C 3.9930 2.7496 -0.4706  -2.05
C 3.0983 1.8118 -1.2761  4.51
C 2.9353 2.3231 -2.7085  -1.49
C 3.5885 0.3773 -1.2560  0.19
C 4.9504 0.1077 -1.2541  -0.59
C 5.4235 -1.1933 -1.2392  -1.44
C 4.5334 -2.2502 -1.2118  -0.51
C 3.1616 -2.0300 -1.2173  0.05
C 2.2074 -3.2069 -1.1829  2.36
C 2.4915 -4.1250 0.0085  -1.71
C 2.2540 -3.9797 -2.5053  -1.68
C 2.6926 -0.7070 -1.2594  -0.42
N 1.2911 -0.4903 -1.3006  1.20
C 0.6033 -0.6146 -2.4524  -1.06
C -0.7941 -0.5655 -2.4135  -0.37
N -1.4417 -0.3137 -1.2823  0.89
C -2.7985 -0.6759 -1.1459  -0.74
C -3.2136 -2.0318 -1.1815  0.43
C -4.5801 -2.2954 -1.1307  -1.08
C -5.5267 -1.2938 -1.0333  -1.28
C -5.1099 0.0206 -0.9441  -0.80
C -3.7628 0.3446 -0.9865  0.73
C -3.3184 1.7857 -0.9034  3.61
C -3.1486 2.3828 -2.3044  -1.33
C -4.2470 2.6593 -0.0592  -1.85
C -2.3157 -3.2673 -1.1979  0.17
C -1.3007 -3.2594 -0.0563  -0.65
C -1.6519 -3.5774 -2.5488  -1.41
H 3.4788 3.6900 -0.2884  0.45
H 4.9146 2.9612 -1.0162  0.51
H 4.2481 2.3142 0.4959  0.40
H 2.0738 1.8182 -0.8068  -2.51
H 3.9008 2.3206 -3.2180  0.39
H 2.5515 3.3446 -2.7028  0.39
+++

[Written answer]
{"formula": "C6H15NO", "method": "wB97M-V/def2-TZVPD", "max_force_ev_per_a": 2.841, "smiles": "CCC(N)=O.CCC", "homo_energy_ev": -9.829, "orbital_gap_ev": 10.6, "e_above_lowest_kj_mol": 112.6, "species": ["C", "C", "C", "N", "O", "H", "H", "H", "H", "H", "H", "H", "C", "C", "C", "H", "H", "H", "H", "H", "H", "H", "H"], "xyz": [[1.06204, 2.26601, -2.35920], [0.11732, 2.29099, -1.14605], [0.75307, 2.50873, 0.20516], [1.45690, 1.33202, 0.59225], [0.53848, 3.42464, 0.94847], [0.43070, 2.34490, -3.24259], [1.66657, 1.36701, -2.22792], [1.70623, 3.13354, -2.40563], [-0.62491, 3.09867, -1.24344], [-0.52969, 1.42066, -1.04833], [1.94203, 1.16108, 1.46447], [1.51381, 0.70610, -0.19302], [-2.17071, -2.72155, 0.84686], [-0.79831, -2.17743, 0.34720], [0.15848, -1.95348, 1.51079], [-2.87517, -2.62841, 0.03169], [-1.96893, -3.71713, 1.24530], [-2.49127, -2.14242, 1.70766], [-0.47704, -2.76485, -0.51089], [-0.98476, -1.17436, -0.06709], [-0.23969, -2.06773, 2.51374], [1.01517, -2.63992, 1.57764], [0.79967, -1.06707, 1.45295]], "mulliken_charge": [-0.92, -0.46, 0.55, -0.36, -0.59, 0.30, 0.32, 0.28, 0.31, 0.18, 0.20, 0.15, -1.28, 0.14, -0.80, 0.36, 0.32, 0.35, 0.36, -0.07, 0.36, 0.32, -0.03]}

----------

Molecular formula: C5H10NO2
Method: DFT, ωB97M-V/def2-TZVPD

Summary:
- Energy relative to the best compared isomer or geometry (same formula, charge and spin): 10.603 eV
- Total charge: -1

Each line ends with the Mulliken charge.
Geometry (Å):
C -0.3026 0.5738 -0.6144  -0.39
N -0.8057 1.9464 -0.3633  -0.58
C -2.1463 1.9710 -0.2761  0.16
O -3.0346 1.1100 -0.5689  -0.62
C 0.4876 -0.1387 0.4479  -0.37
C 1.2410 -1.3055 -0.2643  -0.34
C 0.8851 -1.6437 -1.6232  -0.82
O 0.2592 0.1166 3.4949  -0.95
H -1.0209 -0.0922 -1.0002  0.45
H 0.4725 0.6215 -1.4382  0.16
H 0.3508 0.3840 4.3408  0.14
H -2.4569 2.9823 0.1532  0.30
H -0.1845 -0.4434 1.2757  0.33
H 1.1388 0.6180 0.9744  0.27
H 1.7264 -0.6574 -0.9114  0.32
H 1.7769 -1.8726 0.5692  0.42
H 0.0906 -2.4101 -1.7671  0.25
H 1.5226 -1.7602 -2.4290  0.26

---

Molecular formula: C3H5N3
Method: DFT, ωB97M-V/def2-TZVPD

Summary:
- Energy relative to the best compared isomer or geometry (same formula, charge and spin): 1.447 eV